**Given**
~~~
Entry 1:
Entry from the Materials Project database: a relaxed structure of Li4V2SiP2O12 (PBE+U).

```
84
Lattice="8.991 0.000 0.000 4.488 7.815 0.000 4.490 2.501 13.419" Properties=species:S:1:pos:R:3 pbc="T T T"
O 5.964 5.178 8.531
O 10.531 5.078 1.831
O 10.301 2.897 0.417
O 12.134 2.762 10.509
O 10.308 8.030 9.718
O 12.879 6.580 1.838
O 7.643 2.284 3.702
O 14.867 7.806 8.223
O 8.394 9.038 8.254
O 3.038 2.563 5.188
O 10.303 4.863 9.647
O 10.561 2.681 8.272
O 11.976 4.959 11.902
O 10.346 2.898 2.972
O 12.983 6.351 9.708
O 7.382 5.191 11.566
O 10.414 7.792 1.800
O 4.966 3.800 6.383
O 12.008 5.171 4.873
O 5.944 2.595 1.518
O 7.392 7.616 5.217
O 9.686 6.436 11.869
O 5.877 7.535 2.930
O 7.650 5.438 6.342
O 7.675 7.521 13.077
O 6.057 5.379 1.501
O 7.651 2.300 6.257
O 10.345 4.836 7.094
O 9.586 1.279 5.109
O 9.583 6.465 4.950
O 4.961 3.958 3.673
O 4.033 1.205 3.046
O 5.822 7.562 0.388
O 8.376 3.839 8.482
O 6.094 2.373 8.553
O 13.891 8.992 13.026
O 7.565 2.402 11.628
O 11.879 7.942 4.855
O 7.591 7.478 10.367
O 7.648 5.454 3.792
O 4.004 1.362 0.331
O 8.368 3.897 1.598
O 5.121 3.712 11.626
O 10.362 8.004 7.172
O 13.013 6.511 6.997
O 12.103 7.742 11.878
O 12.149 2.785 13.055
O 13.879 9.032 10.467
V 6.752 3.830 12.921
V 6.711 3.914 2.849
V 15.742 9.015 9.569
V 11.266 6.502 0.505
V 11.235 6.386 10.567
V 2.266 1.269 3.858
V 6.726 3.842 7.207
V 11.239 6.470 6.207
P 8.043 6.199 5.079
P 5.425 6.803 1.664
P 12.564 3.518 11.771
P 13.036 9.002 11.751
P 8.046 1.542 4.977
P 9.910 3.639 1.702
P 9.916 4.106 8.367
P 9.927 8.770 8.430
Li 8.621 5.955 1.672
Li 9.316 4.428 11.894
Li 4.118 4.496 1.659
Li 4.149 3.264 8.226
Li 11.265 6.497 3.353
Li 9.339 8.515 4.891
Li 6.736 3.961 10.048
Li 7.513 1.285 1.713
Li 10.411 8.964 11.726
Li 10.458 3.862 5.017
Li 13.909 5.818 11.567
Li 7.501 6.510 8.509
Li 13.831 7.044 5.177
Li 6.763 9.036 6.710
Li 11.094 6.334 13.409
Li 8.623 1.762 8.406
Si 13.906 6.455 8.365
Si 4.926 1.295 1.679
Si 8.054 6.700 11.725
Si 4.046 3.875 5.026
```

Values from the calculation:
MP2020-corrected energy (eV per cell): -632.71
Space-group type: P1, No. 1
Total moment (μB per cell): 16.0
Energy relative to the lowest polymorph listed for this composition (eV/f.u.): 0.23

=====

Entry 2:
Entry from the Materials Project database: a relaxed structure of Li4V2SiP2O12 (PBE+U).

```
42
Lattice="4.500 7.205 0.000 -4.500 7.205 0.000 0.000 4.412 7.280" Properties=species:S:1:pos:R:3 pbc="T T T"
O -1.331 10.134 0.910
O 3.128 7.718 2.896
O -0.446 16.521 4.986
O -3.128 9.924 6.536
O 0.446 14.315 1.346
O 1.336 6.706 0.099
O 0.665 7.282 4.098
O 1.508 11.777 1.828
O -0.436 4.494 5.901
O 3.157 8.862 0.681
O 1.313 8.731 6.471
O 1.447 4.866 1.747
O -1.313 6.525 2.831
O -1.508 13.983 5.468
O -1.442 12.034 7.154
O 0.732 13.770 6.856
O 1.442 9.828 3.514
O -1.447 7.072 5.387
O -1.336 8.912 3.739
O -0.665 5.076 0.458
O 0.436 2.288 2.261
O -0.732 11.564 3.216
O 1.331 12.340 4.550
O -3.157 11.068 4.321
P 4.088 8.295 1.807
P 0.891 5.257 0.335
P -4.088 10.501 5.447
P -0.891 7.463 3.975
Li 2.121 10.808 0.042
Li -0.457 4.473 2.467
Li 0.436 14.211 4.814
Li 0.457 6.679 6.107
Li 1.421 8.483 1.861
Li -0.436 12.005 1.174
Li -1.421 10.689 5.501
Li -2.121 13.014 3.683
V 2.268 8.480 4.648
V -2.232 10.347 2.601
V 2.232 12.553 6.242
V -2.268 6.274 1.007
Si -0.909 13.563 6.959
Si 0.909 11.357 3.319
```

Values from the calculation:
MP2020-corrected energy (eV per cell): -316.36
Space-group type: Cc, No. 9
Total moment (μB per cell): 8.0
Energy relative to the lowest polymorph listed for this composition (eV/f.u.): 0.23

=====

Entry 3:
Entry from the Materials Project database: a relaxed structure of Li2V2SnP3O12 (PBE+U).

```
40
Lattice="-3.845 3.318 7.641 -6.059 -4.878 5.071 1.997 -3.308 8.443" Properties=species:S:1:pos:R:3 pbc="T T T"
V -6.707 -4.108 18.001
V -5.108 -3.185 13.751
V -2.764 -1.671 7.374
V -1.195 -0.764 3.201
Li -6.722 -1.261 11.858
Li -4.753 -5.455 11.734
Li -2.383 -1.807 13.421
Li -3.032 0.611 9.472
O -4.369 -1.339 12.928
O -1.177 -4.356 11.935
~~~

**Request**
It remains to duplicate the notes above from the line with "11.879 7.942" to the end character by character.

**Worked solution**
O 11.879 7.942 4.855
O 7.591 7.478 10.367
O 7.648 5.454 3.792
O 4.004 1.362 0.331
O 8.368 3.897 1.598
O 5.121 3.712 11.626
O 10.362 8.004 7.172
O 13.013 6.511 6.997
O 12.103 7.742 11.878
O 12.149 2.785 13.055
O 13.879 9.032 10.467
V 6.752 3.830 12.921
V 6.711 3.914 2.849
V 15.742 9.015 9.569
V 11.266 6.502 0.505
V 11.235 6.386 10.567
V 2.266 1.269 3.858
V 6.726 3.842 7.207
V 11.239 6.470 6.207
P 8.043 6.199 5.079
P 5.425 6.803 1.664
P 12.564 3.518 11.771
P 13.036 9.002 11.751
P 8.046 1.542 4.977
P 9.910 3.639 1.702
P 9.916 4.106 8.367
P 9.927 8.770 8.430
Li 8.621 5.955 1.672
Li 9.316 4.428 11.894
Li 4.118 4.496 1.659
Li 4.149 3.264 8.226
Li 11.265 6.497 3.353
Li 9.339 8.515 4.891
Li 6.736 3.961 10.048
Li 7.513 1.285 1.713
Li 10.411 8.964 11.726
Li 10.458 3.862 5.017
Li 13.909 5.818 11.567
Li 7.501 6.510 8.509
Li 13.831 7.044 5.177
Li 6.763 9.036 6.710
Li 11.094 6.334 13.409
Li 8.623 1.762 8.406
Si 13.906 6.455 8.365
Si 4.926 1.295 1.679
Si 8.054 6.700 11.725
Si 4.046 3.875 5.026
```

Values from the calculation:
MP2020-corrected energy (eV per cell): -632.71
Space-group type: P1, No. 1
Total moment (μB per cell): 16.0
Energy relative to the lowest polymorph listed for this composition (eV/f.u.): 0.23

=====

Entry 2:
Entry from the Materials Project database: a relaxed structure of Li4V2SiP2O12 (PBE+U).

```
42
Lattice="4.500 7.205 0.000 -4.500 7.205 0.000 0.000 4.412 7.280" Properties=species:S:1:pos:R:3 pbc="T T T"
O -1.331 10.134 0.910
O 3.128 7.718 2.896
O -0.446 16.521 4.986
O -3.128 9.924 6.536
O 0.446 14.315 1.346
O 1.336 6.706 0.099
O 0.665 7.282 4.098
O 1.508 11.777 1.828
O -0.436 4.494 5.901
O 3.157 8.862 0.681
O 1.313 8.731 6.471
O 1.447 4.866 1.747
O -1.313 6.525 2.831
O -1.508 13.983 5.468
O -1.442 12.034 7.154
O 0.732 13.770 6.856
O 1.442 9.828 3.514
O -1.447 7.072 5.387
O -1.336 8.912 3.739
O -0.665 5.076 0.458
O 0.436 2.288 2.261
O -0.732 11.564 3.216
O 1.331 12.340 4.550
O -3.157 11.068 4.321
P 4.088 8.295 1.807
P 0.891 5.257 0.335
P -4.088 10.501 5.447
P -0.891 7.463 3.975
Li 2.121 10.808 0.042
Li -0.457 4.473 2.467
Li 0.436 14.211 4.814
Li 0.457 6.679 6.107
Li 1.421 8.483 1.861
Li -0.436 12.005 1.174
Li -1.421 10.689 5.501
Li -2.121 13.014 3.683
V 2.268 8.480 4.648
V -2.232 10.347 2.601
V 2.232 12.553 6.242
V -2.268 6.274 1.007
Si -0.909 13.563 6.959
Si 0.909 11.357 3.319
```

Values from the calculation:
MP2020-corrected energy (eV per cell): -316.36
Space-group type: Cc, No. 9
Total moment (μB per cell): 8.0
Energy relative to the lowest polymorph listed for this composition (eV/f.u.): 0.23

=====

Entry 3:
Entry from the Materials Project database: a relaxed structure of Li2V2SnP3O12 (PBE+U).

```
40
Lattice="-3.845 3.318 7.641 -6.059 -4.878 5.071 1.997 -3.308 8.443" Properties=species:S:1:pos:R:3 pbc="T T T"
V -6.707 -4.108 18.001
V -5.108 -3.185 13.751
V -2.764 -1.671 7.374
V -1.195 -0.764 3.201
Li -6.722 -1.261 11.858
Li -4.753 -5.455 11.734
Li -2.383 -1.807 13.421
Li -3.032 0.611 9.472
O -4.369 -1.339 12.928
O -1.177 -4.356 11.935